6 Ways a Construction Company Can Reduce its Carbon Footprint

According to the Technology Strategy Board, the construction, operation and maintenance of the built environment are responsible for 45 percent of the UK’s total carbon emissions. Of which, 27% is from domestic buildings and 18% from non-domestic buildings. The UK Green Building Council states that about 10% of the UK’s carbon dioxide (CO2) emissions are a direct result of construction.

Here are 6 ways that construction companies can reduce their carbon footprints and save considerable amounts of money in the process. Allowing our planet to have a future.

Go Paperless

Companies spend large amounts of their budgets on paper for blueprints, invoices, tender documents, design drawings, daily reports and timesheets to name a few. Going digital eliminates the need for paper altogether. Today with technology being so advanced there are construction software and document management solutions readily available. And with tablets and mobile devices, you can travel with all the documentation at all times, allowing for easy accessibility.

By going digital you are able to receive real-time updates and views of documents, plans and activities and are able to make faster and better decisions. It improves efficiency and reduces costs because there is no need to look for lost documents and reprint or have multiple copies of documents.


The construction industry relies heavily on transportation, whether it is trucks transporting loads of materials or smaller utility vehicles used for site visits, without transportation, construction companies just don’t run. Construction companies should, therefore, economize their transportation fleets. Older and less fuel-efficient vehicles should be replaced with newer vehicles that are in better working condition, have better fuel economy and are overall more environmentally friendly. This reduces overall running costs and fuel costs for the company too.

Companies should also try to source materials locally. This decreases the travel time and distance on deliveries which means fewer emissions. Order collections should be maximized as much as possible. Where possible a company should order as much as they can at one supplier, therefore not needing to go to multiple suppliers for supplies. This requires paying closer attention to detail when placing orders, to avoid unnecessary trips. Trucks should also wait for a full load, avoiding unnecessary trips that are only half full of supplies. Besides decreasing on emissions it also saves on fuel and wears and tear costs.

Rainwater Collection

Water is another huge cost to construction sites. A lot of water used on-site doesn’t need to be potable water. Potable water is water that is suitable for drinking. Flushing toilets, irrigation, keeping concrete slabs wet while curing, and mixing concrete all these can make use of rainwater. Sites that put up effective rainwater collection facilities are able to use the water collected and save on water costs as well as use less potable water.

Rainwater collection along with better stormwater drainage will lead to less on-site and next to site washaways.  Washaways are a huge detriment to the environment and destroy the natural vegetation surroundings leading to an increase in carbon dioxide in the air. Better storm water drainage and rainwater collection will mean a lower volume of water moving off-site.

Equipment Management

(Molecular data, kept here for reference)
Below is a cluster of 3 separate species, C27H39IN4O4 in total at a distorted geometry, with properties calculated with ωB97M-V/def2-TZVPD.

Results
Frontier orbital gap   0.2413 hartree
LUMO energy   -0.984 eV
Charge   0
Structure (SMILES)   C=CCc1cc(-c2ccncc2)c2c(c1C[C@H](C)I)C(=O)NC2=O.COC[C@@H](C)N.COC[C@@H](C)N

Cartesian coordinates (Å):
C -0.922 -0.453 -0.671
C -1.366 -0.031 0.651
C -2.924 0.323 0.971
C -3.887 -0.666 0.179
C -3.588 -2.209 0.292
C -4.421 -3.284 -0.466
C -4.165 -4.840 -0.414
C -4.183 -5.789 -1.654
C -3.981 -7.310 -1.624
N -3.739 -7.982 -0.397
C -3.675 -7.154 0.748
C -3.865 -5.637 0.912
C -5.582 -2.770 -1.347
C -5.881 -1.248 -1.454
C -5.074 -0.154 -0.719
C -5.427 1.387 -0.916
C -6.975 1.762 -0.702
C -7.426 2.603 -2.026
I -7.308 3.149 0.985
C -7.103 -1.189 -2.471
O -8.056 -0.396 -2.609
N -6.910 -2.427 -3.289
C -6.631 -3.507 -2.292
O -7.123 -4.647 -2.204
H -0.744 -1.564 -0.855
H -0.705 0.299 -1.504
H -0.575 0.092 1.468
H -3.084 0.212 2.111
H -3.047 1.428 0.711
H -2.714 -2.522 0.948
H -4.394 -5.310 -2.677
H -4.020 -7.951 -2.579
H -3.443 -7.711 1.732
H -3.788 -5.089 1.918
H -5.041 1.770 -1.932
H -4.839 1.985 -0.120
H -7.651 0.868 -0.502
H -7.161 1.958 -2.929
H -6.707 3.507 -2.064
H -8.525 2.912 -1.975
H -7.901 -2.668 -3.519
C 2.196 2.658 0.291
O 1.842 1.468 0.976
C 2.940 0.775 1.565
C 3.462 1.392 2.880
C 4.271 2.671 2.688
N 2.365 1.656 3.821
H 3.158 2.566 -0.222
H 2.209 3.500 0.986
H 1.423 2.864 -0.451
H 2.565 -0.230 1.789
H 3.748 0.650 0.833
H 4.132 0.654 3.336
H 3.644 3.548 2.517
H 4.859 2.883 3.586
H 4.966 2.577 1.850
H 1.900 0.776 4.039
H 1.653 2.188 3.319
C 10.250 1.335 -0.155
O 9.891 2.535 0.511
C 8.924 3.327 -0.173
C 7.472 2.814 -0.059
C 7.178 1.580 -0.908
N 7.112 2.528 1.336
H 10.278 1.462 -1.241
H 9.563 0.534 0.121
H 11.243 1.042 0.187
H 8.971 4.315 0.296
H 9.218 3.465 -1.222
H 6.820 3.616 -0.422
H 7.548 0.658 -0.458
H 6.099 1.454 -1.029
H 7.616 1.675 -1.905
H 7.196 3.387 1.879
H 7.841 1.926 1.723

Keeping a well-maintained plant or machinery is the key to lower carbon emissions. If machines are serviced regularly and are running well, they are not burning as much oil or producing as many noxious fumes, along with lengthening their life span. Well serviced and well-maintained machinery is also more fuel-efficient and therefore more cost-effective. This can be improved upon even more by opting to use low carbon fuel.

Choosing the right machine for the right task is also vital. In other words, don’t use oversized machinery. Make sure you are using the right sized machine instead of one that is too large for the job; this not only costs less but produces fewer emissions. Training your machine operators how to operate the machinery efficiently is also important, focusing on less idle time and appropriate power usage. This will lead to fewer expenditures as well as improve the life of machinery and on-site safety.

Waste Management

Most construction waste is sent to landfills, but when simply using the right processes and services, waste material can be recycled. Construction companies need to take the 3 R’s; reduce, reuse and recycle, into consideration for waste management. Reducing over order, which minimises waste, and reusing as much material as can be salvaged from existing structures and previous works. Finally, if the material cannot be reused then recycling it for use somewhere else.

The use of compactors, crushing waste material down so that there are fewer collections needed to remove what waste cannot be reused or recycled can also improve the environmental impact construction projects cause. Stone and old concrete can be crushed down and used as aggregates, while metal and wire can be melted and remoulded into new metal fixtures. Recycled steel reduces mining waste by 97%, air pollution by 86% and water pollution by 76%. The good news is steel is 100% recyclable. All and any used construction steel, be it reinforcement mesh or prefabricated pile cages, can be recycled.

Here the piece breaks off for quantum chemistry results:
[1]

Sustainable Material

More and more companies are looking at sources for sustainable material, besides sourcing locally. Cement production is responsible for nearly half of the industry’s carbon dioxide production both in the energy needed to make it and as by-product fumes of the chemical reactions from the manufacturing of it. Alternative options are using low carbon cements which are less energy-intensive to manufacture.

While some companies may look at bio concrete, others are looking at using more natural products like straw, wood and compressed soil. These products actually absorb carbon dioxide instead of emitting it and use less energy to manufacture.

In Conclusion

**Inserted here: data records:**
-- begin --
14
Properties=species:S:1:pos:R:3:forces:R:3 method="wB97M-V/def2-TZVPD" e_above_lowest_kj_mol=73.3 s_squared=0.77 spin_multiplicity=2 total_charge=+1 gap_ev="12.6 / 6.2" energy_ha=-303.5186
O 1.07861 1.30790 -0.25151 -1.0 -0.7 0.2
C 0.37884 0.43284 -0.74062 2.6 0.5 -0.3
N -0.78272 0.04601 -0.13246 -2.0 -1.0 -0.2
C -1.05484 0.01713 1.27729 0.7 0.8 1.7
N -0.42041 -1.21723 1.67338 0.6 1.0 0.1
C 0.78467 -0.34575 -1.94147 0.0 -0.2 -1.7
H -1.47011 -0.34272 -0.77341 0.0 -0.4 0.3
H -2.09727 0.03695 1.57577 -0.3 -0.2 -0.6
H -0.61507 0.90258 1.74619 0.2 -0.1 -0.1
H -0.73685 -1.72916 2.48757 -0.7 -0.3 -0.3
H 0.59098 -1.13686 1.71279 0.0 -0.1 -0.4
H 0.11770 -0.23573 -2.80815 -0.1 0.6 0.2
H 0.78077 -1.43999 -1.89766 0.1 0.1 1.0
H 1.76820 -0.02289 -2.27921 -0.1 0.1 0.2

=====

14
Properties=species:S:1:pos:R:3:forces:R:3 method="wB97M-V/def2-TZVPD" e_above_lowest_kj_mol=164.9 s_squared=0.76 spin_multiplicity=2 total_charge=+1 gap_ev="9.1 / 4.7" energy_ha=-303.4837
C -0.91128 0.32009 0.27420 0.5 -2.9 -1.4
C 0.51611 -0.28533 0.71025 0.3 0.9 -1.3
C 1.44138 -0.40568 -0.63495 -1.1 -1.5 -1.2
N 0.90238 -0.19406 -1.87870 3.1 -1.0 3.2
O 2.57147 -1.00662 -0.45859 -2.2 1.8 -0.3
N -1.60069 1.07168 1.29770 0.6 -0.8 2.1
H -0.61554 0.79592 -0.70823 -1.2 1.0 1.8
H -1.58744 -0.55020 -0.07042 1.2 1.0 0.4
H 1.05192 0.43011 1.35587 -0.2 -0.4 -0.1
H 0.58815 -1.31060 1.09873 -0.4 0.4 0.1
H 1.50581 -0.52678 -2.62162 -0.5 0.3 -0.5
H -0.05408 0.09075 -1.96671 -0.1 0.0 -0.4
H -1.22112 0.81237 2.28776 -0.8 0.8 -2.4
H -2.58708 0.75836 1.31472 0.8 0.4 0.0

=====

14
Properties=species:S:1:pos:R:3:forces:R:3 method="wB97M-V/def2-TZVPD" e_above_lowest_kj_mol=87.0 s_squared=0.75 spin_multiplicity=2 total_charge=+1 gap_ev="10.3 / 4.6" energy_ha=-303.5134
C -1.11223 -0.62209 -0.10647 1.2 1.8 -1.8
C 0.04768 0.37916 -0.08287 0.6 -1.4 -0.3
C 1.43882 -0.37556 -0.03421 -0.2 2.8 0.9
N 2.37372 0.65784 0.18513 -0.4 -1.4 -0.3
O 1.58525 -1.55306 -0.03503 0.0 -0.8 0.2
N -2.38545 0.05796 -0.14027 0.0 -2.0 3.5
H -0.98665 -1.26237 -0.99504 -0.4 -0.3 0.5
H -1.02463 -1.22234 0.82173 -0.6 -0.3 0.0
H 0.10726 0.91804 -1.02879 -0.4 0.4 0.2
H 0.02710 1.02232 0.79817 -0.1 0.1 -0.3
H 3.32046 0.42773 0.45045 0.1 -0.3 -0.4
H 2.27606 1.38809 -0.50123 0.2 0.4 0.3
H -3.16240 -0.58494 0.07067 -0.4 0.0 -1.4
H -2.50499 0.76923 0.59775 0.4 0.9 -1.0

=====

15
Properties=species:S:1:pos:R:3:forces:R:3 method="wB97M-V/def2-TZVPD" e_above_lowest_kj_mol=171.8 smiles="N/C=C/N.O=CO" gap_ev=9.2 energy_ha=-379.0756
N -1.96586 -0.43779 -2.15827 0.8 -0.4 -0.4
C -0.87396 0.32835 -1.73702 0.1 0.5 0.4
C -0.13596 0.10767 -0.64445 -0.4 -0.4 -0.1
N 0.40171 1.16105 0.16899 0.5 -0.2 -0.6
H -2.02429 -0.49685 -3.16667 -0.1 -0.1 0.0
H -1.94795 -1.36742 -1.75416 -0.2 0.0 0.0
H -0.69825 1.23985 -2.30275 -0.5 0.2 0.2
H -0.04854 -0.89891 -0.24141 -0.2 0.1 0.3
H 1.41071 1.25767 0.07307 0.0 0.0 0.1
H -0.04160 2.03734 -0.06970 0.1 0.1 0.1
O 2.43306 -0.87403 1.84432 -0.1 0.1 -0.3
C 1.42520 -0.90168 2.49819 0.3 -0.1 0.0
-- stop --

There are many more ways that construction companies can reduce their carbon footprint. Luckily a lot of these methods that can be implemented also mean a reduction in costs, which is an added bonus. Reducing your company’s carbon footprint can actually save you time and money while you are doing your part for the environment.